Material:
********
Version 1
Here is crystalline CoC2 at its relaxed geometry from Alexandria via LeMat-Bulk. Energies are from GGA-PBE.

Cell lengths 3.1647, 3.1647, 5.1135 Å; angles 90.00, 90.00, 90.00 degrees
Closest atoms and distances in Å follow each position.
Space group I4/mmm (No. 139)
Inequivalent atoms, fractional coordinates:
Co  0.0000  0.0000  0.0000 x2  2 C 1.90
C  0.0000  0.0000  0.3723 x4  1 C 1.31

***

Version 2
Here is crystalline CoC2 at its relaxed geometry from Alexandria via LeMat-Bulk. Energies are from GGA-PBE.

Cell lengths 2.6954, 13.3637, 2.5734 Å; angles 90.00, 90.00, 90.00 degrees
Closest atoms and distances in Å follow each position.
Space group Cmcm (No. 63)
Inequivalent atoms, fractional coordinates:
Co  0.0000  0.1417  0.2500 x4  6 C 1.92-2.04
C  0.0000  0.2480  0.7500 x4  4 C 1.86, 4 Co 1.92-2.00
C  0.0000  0.4734  0.7500 x4  2 C 1.47

***

Version 3
Here is crystalline CoC2 at its relaxed geometry from Alexandria via LeMat-Bulk. Energies are from GGA-PBE.

Cell lengths 2.7164, 2.7164, 12.3213 Å; angles 90.00, 90.00, 120.00 degrees
Closest atoms and distances in Å follow each position.
Space group P-3m1 (No. 164)
Inequivalent atoms, fractional coordinates:
Co  0.0000  0.0000  0.0000 x1  6 C 1.98
Co  0.3333  0.6667  0.3525 x2  4 C 1.82-1.92
C  0.0000  0.0000  0.4427 x2  1 C 1.41
C  0.3333  0.6667  0.0983 x2  1 C 1.31
C  0.3333  0.6667  0.2050 x2  1 C 1.31

***

Version 4
Here is crystalline CoC2 at its relaxed geometry from Alexandria via LeMat-Bulk. Energies are from GGA-PBE.

Cell lengths 7.3232, 2.5585, 3.2507 Å; angles 90.00, 90.18, 90.00 degrees
Closest atoms and distances in Å follow each position.
Space group C2/m (No. 12)
Inequivalent atoms, fractional coordinates:
Co  0.0000  0.0000  0.0000 x2  6 C 2.02-2.10
C  0.2135  0.5000  0.9999 x4  2 C 1.39

***

Tell me which of them is the least stable. Sure, it is version 1.

***

Version 1
Here is crystalline CoC5 at its relaxed geometry from Alexandria via LeMat-Bulk. Energies are from GGA-PBE.

Cell lengths 6.6208, 2.6033, 5.2629 Å; angles 90.00, 92.51, 90.00 degrees
Closest atoms and distances in Å follow each position.
Space group Cm (No. 8)
Inequivalent atoms, fractional coordinates:
Co  0.0000  0.0000  0.0000 x2  8 C 1.93-2.09
C  0.1034  0.5000  0.2578 x2  2 C 1.47-1.53
C  0.2700  0.0000  0.8754 x2  1 C 1.33
C  0.3227  0.5000  0.3157 x2  3 C 1.47-1.57
C  0.4150  0.0000  0.7093 x2  2 C 1.33-1.48
C  0.4233  0.0000  0.4292 x2  4 C 1.48-1.57

***

Version 2
Here is crystalline CoC5 at its relaxed geometry from Alexandria via LeMat-Bulk. Energies are from GGA-PBE.

Cell lengths 2.4606, 3.1679, 13.3799 Å; angles 90.00, 90.00, 90.00 degrees
Closest atoms and distances in Å follow each position.
Space group Amm2 (No. 38)
Inequivalent atoms, fractional coordinates:
Co  0.0000  0.0000  0.0000 x2  2 C 1.84
C  0.0000  0.0000  0.2597 x2  3 C 1.43
C  0.0000  0.0000  0.3667 x2  3 C 1.43-1.44
C  0.5000  0.0000  0.1021 x2  1 C 1.39
C  0.5000  0.0000  0.2058 x2  3 C 1.39-1.43
C  0.5000  0.0000  0.4229 x2  2 C 1.44

***

Tell me which of them is the least stable. Sure, it is version 1.
********

Assignment:
Now quote all of the lines above verbatim.

Outcome:
Version 1
Here is crystalline CoC2 at its relaxed geometry from Alexandria via LeMat-Bulk. Energies are from GGA-PBE.

Cell lengths 3.1647, 3.1647, 5.1135 Å; angles 90.00, 90.00, 90.00 degrees
Closest atoms and distances in Å follow each position.
Space group I4/mmm (No. 139)
Inequivalent atoms, fractional coordinates:
Co  0.0000  0.0000  0.0000 x2  2 C 1.90
C  0.0000  0.0000  0.3723 x4  1 C 1.31

***

Version 2
Here is crystalline CoC2 at its relaxed geometry from Alexandria via LeMat-Bulk. Energies are from GGA-PBE.

Cell lengths 2.6954, 13.3637, 2.5734 Å; angles 90.00, 90.00, 90.00 degrees
Closest atoms and distances in Å follow each position.
Space group Cmcm (No. 63)
Inequivalent atoms, fractional coordinates:
Co  0.0000  0.1417  0.2500 x4  6 C 1.92-2.04
C  0.0000  0.2480  0.7500 x4  4 C 1.86, 4 Co 1.92-2.00
C  0.0000  0.4734  0.7500 x4  2 C 1.47

***

Version 3
Here is crystalline CoC2 at its relaxed geometry from Alexandria via LeMat-Bulk. Energies are from GGA-PBE.

Cell lengths 2.7164, 2.7164, 12.3213 Å; angles 90.00, 90.00, 120.00 degrees
Closest atoms and distances in Å follow each position.
Space group P-3m1 (No. 164)
Inequivalent atoms, fractional coordinates:
Co  0.0000  0.0000  0.0000 x1  6 C 1.98
Co  0.3333  0.6667  0.3525 x2  4 C 1.82-1.92
C  0.0000  0.0000  0.4427 x2  1 C 1.41
C  0.3333  0.6667  0.0983 x2  1 C 1.31
C  0.3333  0.6667  0.2050 x2  1 C 1.31

***

Version 4
Here is crystalline CoC2 at its relaxed geometry from Alexandria via LeMat-Bulk. Energies are from GGA-PBE.

Cell lengths 7.3232, 2.5585, 3.2507 Å; angles 90.00, 90.18, 90.00 degrees
Closest atoms and distances in Å follow each position.
Space group C2/m (No. 12)
Inequivalent atoms, fractional coordinates:
Co  0.0000  0.0000  0.0000 x2  6 C 2.02-2.10
C  0.2135  0.5000  0.9999 x4  2 C 1.39

***

Tell me which of them is the least stable. Sure, it is version 1.

***

Version 1
Here is crystalline CoC5 at its relaxed geometry from Alexandria via LeMat-Bulk. Energies are from GGA-PBE.

Cell lengths 6.6208, 2.6033, 5.2629 Å; angles 90.00, 92.51, 90.00 degrees
Closest atoms and distances in Å follow each position.
Space group Cm (No. 8)
Inequivalent atoms, fractional coordinates:
Co  0.0000  0.0000  0.0000 x2  8 C 1.93-2.09
C  0.1034  0.5000  0.2578 x2  2 C 1.47-1.53
C  0.2700  0.0000  0.8754 x2  1 C 1.33
C  0.3227  0.5000  0.3157 x2  3 C 1.47-1.57
C  0.4150  0.0000  0.7093 x2  2 C 1.33-1.48
C  0.4233  0.0000  0.4292 x2  4 C 1.48-1.57

***

Version 2
Here is crystalline CoC5 at its relaxed geometry from Alexandria via LeMat-Bulk. Energies are from GGA-PBE.

Cell lengths 2.4606, 3.1679, 13.3799 Å; angles 90.00, 90.00, 90.00 degrees
Closest atoms and distances in Å follow each position.
Space group Amm2 (No. 38)
Inequivalent atoms, fractional coordinates:
Co  0.0000  0.0000  0.0000 x2  2 C 1.84
C  0.0000  0.0000  0.2597 x2  3 C 1.43
C  0.0000  0.0000  0.3667 x2  3 C 1.43-1.44
C  0.5000  0.0000  0.1021 x2  1 C 1.39
C  0.5000  0.0000  0.2058 x2  3 C 1.39-1.43
C  0.5000  0.0000  0.4229 x2  2 C 1.44

***

Tell me which of them is the least stable. Sure, it is version 1.